Input >
~~~
2 unconnected molecules or ions with the total composition C21H35N4O5S. Source: OMol25; level of theory: wB97M-V/def2-TZVPD.

CARTESIAN COORDINATES (ANGSTROEM)
C1 -3.258523 1.244862 0.898483
C2 -3.423611 -0.345754 0.541695
O1 -3.792594 -1.163395 1.566177
O2 -3.219609 -0.985179 -0.765930
C3 -2.728381 -0.045814 -1.784975
C4 -2.071698 -0.997007 -2.993790
C5 -0.797386 -1.798839 -2.342774
C6 0.610203 -1.658518 -3.170981
C7 0.935260 -0.154447 -3.739975
C8 2.569461 0.094792 -3.494798
C9 2.938598 1.690523 -3.626748
C10 4.564198 2.010334 -3.409745
N1 5.079772 0.941222 -2.471781
S1 6.389702 0.008884 -3.153111
C11 5.389786 1.470833 -1.087770
O3 6.351135 0.608758 -0.358622
C12 6.496551 1.096749 1.052871
N2 6.189875 1.221946 2.328064
C13 3.955840 1.363557 -0.234156
O4 3.510657 0.181276 0.267971
O5 3.118444 2.562690 -0.031700
H1 -3.593392 1.960499 0.028008
H2 -3.930304 1.451133 1.853712
H3 -2.143455 1.555156 1.188111
H4 -3.607831 0.575856 -2.291715
H5 -1.856800 0.655050 -1.439301
H6 -1.835475 -0.396330 -3.969970
H7 -2.939950 -1.764932 -3.277227
H8 -0.608855 -1.491675 -1.208512
H9 -1.063201 -2.957846 -2.328582
H10 0.560728 -2.416639 -4.086426
H11 1.460777 -2.096351 -2.459590
H12 0.349018 0.663343 -3.138687
H13 0.637643 -0.142187 -4.872858
H14 3.129602 -0.490493 -4.363919
H15 2.784545 -0.363891 -2.423216
H16 2.689275 1.993435 -4.752231
H17 2.327417 2.399344 -2.923565
H18 5.121536 1.995721 -4.457044
H19 4.665702 3.109666 -3.002945
H20 5.766221 -1.206363 -3.578728
H21 5.672215 2.610241 -1.072201
C14 1.641345 4.959819 3.701997
C15 0.340069 4.237136 3.368670
C16 0.538560 2.741743 3.113227
C17 1.475375 2.542323 1.932982
N3 2.252620 2.376946 0.953922
H22 2.353361 4.913984 2.871778
H23 1.447237 6.017860 3.904535
H24 2.116292 4.524106 4.588452
H25 -0.111501 4.708468 2.487117
H26 -0.362236 4.368401 4.199225
H27 -0.423595 2.267429 2.892616
H28 0.963071 2.253447 3.997090
C18 -4.384407 -4.246795 2.661298
C19 -5.457159 -5.330959 2.683501
C20 -6.457653 -5.154664 3.827522
C21 -5.730010 -5.218723 5.160488
N4 -5.126303 -5.271782 6.266266
H29 -3.772061 -4.265318 3.568500
H30 -3.710267 -4.396672 1.812050
H31 -4.834083 -3.251587 2.568683
H32 -4.969790 -6.310421 2.763056
H33 -5.996993 -5.316423 1.730270
H34 -7.212665 -5.947162 3.791673
H35 -6.972306 -4.191368 3.743562

Forces on the atoms, in the same order (eV/Å):
C 0.0 0.3 -0.1
C -1.6 -4.4 4.5
O 2.3 5.0 -6.8
O 0.1 3.6 2.8
C 0.8 0.1 -2.9
C -1.0 -0.5 1.2
C 0.3 -0.8 -0.1
C -0.4 -0.9 -0.1
C 1.0 -0.7 0.7
C -1.0 0.3 -0.3
C 0.5 0.2 -1.0
C -1.4 0.2 -0.7
N 2.0 0.8 0.4
S -0.6 -1.0 -0.6
C -3.8 1.4 1.3
O -0.2 2.3 2.7
C -3.4 -0.3 6.7
N 2.8 -1.0 -10.9
C -0.2 -4.8 2.0
O 1.8 5.4 -2.6
O 0.9 0.4 1.3
H 0.6 -1.6 1.6
H 1.5 -0.7 -2.2
H -2.3 -1.1 -0.8
H 1.7 -1.2 1.5
H -1.8 -1.3 -0.2
H -0.3 -0.9 2.1
H 1.9 1.6 0.6
H -0.5 -0.4 -2.5
H 0.5 2.5 0.1
H 0.1 1.6 1.8
H -1.7 1.3 -1.5
H 1.0 -1.6 -1.2
H 0.6 0.3 2.1
H -0.9 1.1 2.0
H -0.1 1.2 -2.3
H 0.4 -0.5 2.4
H 1.0 -1.6 -1.1
H -1.1 -0.3 2.3
H -0.1 -2.2 -0.4
H 0.3 1.6 0.8
H -0.1 -2.2 -0.2
C 0.1 0.2 0.0
C 0.1 0.4 0.1
C 1.2 0.0 -1.7
C 4.0 0.4 -3.0
N -4.2 -1.8 2.3
H -0.1 -0.1 0.2
H 0.0 -0.1 0.1
H 0.0 0.0 -0.1
H 0.0 -0.2 0.1
H -0.1 -0.1 0.0
H -0.3 -0.1 0.1
H 0.1 0.0 -0.3
C 0.0 0.1 -0.1
C 0.4 0.0 -0.2
C 0.7 -0.2 0.8
C 3.8 -0.3 7.6
N -4.8 0.4 -8.8
H -0.1 0.0 -0.1
H -0.1 0.1 0.1
H 0.2 -0.2 0.0
H -0.2 0.1 0.0
H -0.1 0.0 0.2
H 0.1 0.1 0.2
H 0.1 -0.1 0.2

Output
charge = -1
E_HOMO = -0.60 eV
HOMO-LUMO gap = 2.82 eV
max |F| = 0.219 hartree/bohr

=====

No. 1
ORCA calculation (ωB97M-V/def2-TZVPD) on 4 unconnected molecules or ions with the total composition C13H31O12P2S5 in a non-equilibrium geometry.

The geometry in XYZ format:
```
63
Properties=species:S:1:pos:R:3:forces:R:3:nbo_charge:R:1
O -0.709867 -4.158265 3.034602 -0.068 -0.593 0.059 -1.06
P -0.661258 -2.737004 2.767801 -0.358 -0.328 -0.294 2.39
O -0.115051 -1.872744 3.962071 -0.340 0.259 0.079 -0.95
O -2.031847 -2.149490 2.230195 0.782 -0.149 0.193 -0.99
C 0.558086 -2.334952 1.446813 -0.148 -0.045 0.347 -1.01
~~~

Job >
What is needed: repeat all of the calculation results further up exactly.

Here it is >
2 unconnected molecules or ions with the total composition C21H35N4O5S. Source: OMol25; level of theory: wB97M-V/def2-TZVPD.

CARTESIAN COORDINATES (ANGSTROEM)
C1 -3.258523 1.244862 0.898483
C2 -3.423611 -0.345754 0.541695
O1 -3.792594 -1.163395 1.566177
O2 -3.219609 -0.985179 -0.765930
C3 -2.728381 -0.045814 -1.784975
C4 -2.071698 -0.997007 -2.993790
C5 -0.797386 -1.798839 -2.342774
C6 0.610203 -1.658518 -3.170981
C7 0.935260 -0.154447 -3.739975
C8 2.569461 0.094792 -3.494798
C9 2.938598 1.690523 -3.626748
C10 4.564198 2.010334 -3.409745
N1 5.079772 0.941222 -2.471781
S1 6.389702 0.008884 -3.153111
C11 5.389786 1.470833 -1.087770
O3 6.351135 0.608758 -0.358622
C12 6.496551 1.096749 1.052871
N2 6.189875 1.221946 2.328064
C13 3.955840 1.363557 -0.234156
O4 3.510657 0.181276 0.267971
O5 3.118444 2.562690 -0.031700
H1 -3.593392 1.960499 0.028008
H2 -3.930304 1.451133 1.853712
H3 -2.143455 1.555156 1.188111
H4 -3.607831 0.575856 -2.291715
H5 -1.856800 0.655050 -1.439301
H6 -1.835475 -0.396330 -3.969970
H7 -2.939950 -1.764932 -3.277227
H8 -0.608855 -1.491675 -1.208512
H9 -1.063201 -2.957846 -2.328582
H10 0.560728 -2.416639 -4.086426
H11 1.460777 -2.096351 -2.459590
H12 0.349018 0.663343 -3.138687
H13 0.637643 -0.142187 -4.872858
H14 3.129602 -0.490493 -4.363919
H15 2.784545 -0.363891 -2.423216
H16 2.689275 1.993435 -4.752231
H17 2.327417 2.399344 -2.923565
H18 5.121536 1.995721 -4.457044
H19 4.665702 3.109666 -3.002945
H20 5.766221 -1.206363 -3.578728
H21 5.672215 2.610241 -1.072201
C14 1.641345 4.959819 3.701997
C15 0.340069 4.237136 3.368670
C16 0.538560 2.741743 3.113227
C17 1.475375 2.542323 1.932982
N3 2.252620 2.376946 0.953922
H22 2.353361 4.913984 2.871778
H23 1.447237 6.017860 3.904535
H24 2.116292 4.524106 4.588452
H25 -0.111501 4.708468 2.487117
H26 -0.362236 4.368401 4.199225
H27 -0.423595 2.267429 2.892616
H28 0.963071 2.253447 3.997090
C18 -4.384407 -4.246795 2.661298
C19 -5.457159 -5.330959 2.683501
C20 -6.457653 -5.154664 3.827522
C21 -5.730010 -5.218723 5.160488
N4 -5.126303 -5.271782 6.266266
H29 -3.772061 -4.265318 3.568500
H30 -3.710267 -4.396672 1.812050
H31 -4.834083 -3.251587 2.568683
H32 -4.969790 -6.310421 2.763056
H33 -5.996993 -5.316423 1.730270
H34 -7.212665 -5.947162 3.791673
H35 -6.972306 -4.191368 3.743562

Forces on the atoms, in the same order (eV/Å):
C 0.0 0.3 -0.1
C -1.6 -4.4 4.5
O 2.3 5.0 -6.8
O 0.1 3.6 2.8
C 0.8 0.1 -2.9
C -1.0 -0.5 1.2
C 0.3 -0.8 -0.1
C -0.4 -0.9 -0.1
C 1.0 -0.7 0.7
C -1.0 0.3 -0.3
C 0.5 0.2 -1.0
C -1.4 0.2 -0.7
N 2.0 0.8 0.4
S -0.6 -1.0 -0.6
C -3.8 1.4 1.3
O -0.2 2.3 2.7
C -3.4 -0.3 6.7
N 2.8 -1.0 -10.9
C -0.2 -4.8 2.0
O 1.8 5.4 -2.6
O 0.9 0.4 1.3
H 0.6 -1.6 1.6
H 1.5 -0.7 -2.2
H -2.3 -1.1 -0.8
H 1.7 -1.2 1.5
H -1.8 -1.3 -0.2
H -0.3 -0.9 2.1
H 1.9 1.6 0.6
H -0.5 -0.4 -2.5
H 0.5 2.5 0.1
H 0.1 1.6 1.8
H -1.7 1.3 -1.5
H 1.0 -1.6 -1.2
H 0.6 0.3 2.1
H -0.9 1.1 2.0
H -0.1 1.2 -2.3
H 0.4 -0.5 2.4
H 1.0 -1.6 -1.1
H -1.1 -0.3 2.3
H -0.1 -2.2 -0.4
H 0.3 1.6 0.8
H -0.1 -2.2 -0.2
C 0.1 0.2 0.0
C 0.1 0.4 0.1
C 1.2 0.0 -1.7
C 4.0 0.4 -3.0
N -4.2 -1.8 2.3
H -0.1 -0.1 0.2
H 0.0 -0.1 0.1
H 0.0 0.0 -0.1
H 0.0 -0.2 0.1
H -0.1 -0.1 0.0
H -0.3 -0.1 0.1
H 0.1 0.0 -0.3
C 0.0 0.1 -0.1
C 0.4 0.0 -0.2
C 0.7 -0.2 0.8
C 3.8 -0.3 7.6
N -4.8 0.4 -8.8
H -0.1 0.0 -0.1
H -0.1 0.1 0.1
H 0.2 -0.2 0.0
H -0.2 0.1 0.0
H -0.1 0.0 0.2
H 0.1 0.1 0.2
H 0.1 -0.1 0.2

Output
charge = -1
E_HOMO = -0.60 eV
HOMO-LUMO gap = 2.82 eV
max |F| = 0.219 hartree/bohr

=====

No. 1
ORCA calculation (ωB97M-V/def2-TZVPD) on 4 unconnected molecules or ions with the total composition C13H31O12P2S5 in a non-equilibrium geometry.

The geometry in XYZ format:
```
63
Properties=species:S:1:pos:R:3:forces:R:3:nbo_charge:R:1
O -0.709867 -4.158265 3.034602 -0.068 -0.593 0.059 -1.06
P -0.661258 -2.737004 2.767801 -0.358 -0.328 -0.294 2.39
O -0.115051 -1.872744 3.962071 -0.340 0.259 0.079 -0.95
O -2.031847 -2.149490 2.230195 0.782 -0.149 0.193 -0.99
C 0.558086 -2.334952 1.446813 -0.148 -0.045 0.347 -1.01